2015-07-21 210 views

長時間閱讀器和StackOverflow的崇拜者。VBA - 從多個Excel文件複製並粘貼到單個Excel文件


單元格區域位置(C3:D8,D3:E8)並不總是一致的,但表格尺寸爲:29 R x 2 C.此外,這些文件只有一個表格,並且除了指定的表格尺寸,其他單元格中沒有數據值。



_Next to the article, the page also holds crystal structures_
- - -
Entry 1:
Material: Ca2Ni10H
Method: DFT, GGA-PBE
State: relaxed

abc: 5.0353 5.0353 7.8075
angles: 90.00 90.00 121.41
With the nearest neighbours (Å) after each atom.
Atoms (fractional coordinates):
Ca1 0.0000 0.0000 0.0000  2 H 2.46
Ca2 0.0000 0.0000 0.5000  14 Ni 2.83-3.16
Ni1 0.0000 0.5000 0.2563  8 Ni 2.41-2.52
Ni2 0.0000 0.5000 0.7437  8 Ni 2.41-2.52
Ni3 0.3142 0.6858 0.0000  1 H 1.63
Ni4 0.3425 0.6575 0.5000  6 Ni 2.41-2.43
Ni5 0.5000 0.0000 0.2563  8 Ni 2.41-2.52
Ni6 0.5000 0.0000 0.7437  8 Ni 2.41-2.52
Ni7 0.5000 0.5000 0.2434  1 H 1.90
Ni8 0.5000 0.5000 0.7566  1 H 1.90
Ni9 0.6575 0.3425 0.5000  6 Ni 2.41-2.43
Ni10 0.6858 0.3142 0.0000  1 H 1.63
H1 0.5000 0.5000 0.0000  2 Ni 1.63

Computed properties:
The magnetic moment comes out at 0.230 μB/atom. The calculation puts the energy at -66.726 eV for the cell shown. The energy of formation from the pure elements comes out at -1.70 eV/f.u. Its energy above the most stable polymorph in this dataset is 0.0 meV per atom. Its symmetry is Cmmm, No. 65.

***

Entry 2:
Material: Mg6AlCdO8
Method: DFT, GGA-PBE
State: relaxed

abc: 4.4086 4.4086 8.6882
angles: 90.00 90.00 90.00
With the nearest neighbours (Å) after each atom.
Atoms (fractional coordinates):
Mg1 0.0000 0.0000 0.0000  6 O 2.15-2.20
Mg2 0.0000 0.0000 0.5000  6 O 2.20
Mg3 0.0000 0.5000 0.2484  6 O 2.16-2.23
Mg4 0.0000 0.5000 0.7516  6 O 2.16-2.23
Mg5 0.5000 0.0000 0.2484  6 O 2.16-2.23
Mg6 0.5000 0.0000 0.7516  6 O 2.16-2.23
Al1 0.5000 0.5000 0.0000  2 O 1.81
Cd1 0.5000 0.5000 0.5000  4 O 2.20
O1 0.0000 0.0000 0.2472  6 Mg 2.15-2.20
O2 0.0000 0.0000 0.7528  6 Mg 2.15-2.20
O3 0.0000 0.5000 0.0000  4 Mg 2.16-2.20, 2 Al 2.20
O4 0.0000 0.5000 0.5000  4 Mg 2.19-2.20, 2 Cd 2.20
O5 0.5000 0.0000 0.0000  4 Mg 2.16-2.20, 2 Al 2.20
O6 0.5000 0.0000 0.5000  4 Mg 2.19-2.20, 2 Cd 2.20
O7 0.5000 0.5000 0.2083  1 Al 1.81
O8 0.5000 0.5000 0.7917  1 Al 1.81

Computed properties:
The magnetic moment comes out at 0.000 μB/atom. The calculation puts the energy at -91.018 eV for the cell shown. The energy of formation from the pure elements comes out at -42.66 eV/f.u. Its energy above the most stable polymorph in this dataset is 0.0 meV per atom. Its symmetry is P4/mmm, No. 123.

***

Entry 3:
Material: LiZnGe
Method: DFT, GGA-PBE
State: relaxed

abc: 4.2864 4.2864 9.4196
angles: 90.00 90.00 120.00
With the nearest neighbours (Å) after each atom.
Atoms (fractional coordinates):
Li1 0.0000 0.0000 0.0000  6 Ge 2.79
Li2 0.0000 0.0000 0.3366  6 Zn 2.76-2.91, 3 Ge 2.91, 1 Li 3.08
Li3 0.0000 0.0000 0.6634  6 Zn 2.76-2.91, 3 Ge 2.91, 1 Li 3.08
Zn1 0.3333 0.6667 0.5000  3 Ge 2.47
Zn2 0.6667 0.3333 0.2063  4 Ge 2.56-2.77, 3 Li 2.76
Zn3 0.6667 0.3333 0.7937  4 Ge 2.56-2.77, 3 Li 2.76
Ge1 0.3333 0.6667 0.1365  3 Zn 2.56, 1 Ge 2.57, 3 Li 2.79
Ge2 0.3333 0.6667 0.8635  3 Zn 2.56, 1 Ge 2.57, 3 Li 2.79
Ge3 0.6667 0.3333 0.5000  5 Zn 2.47-2.77

Computed properties:
- - -
_End of the crystal structures_

  1. 通過到下一個文件
  2. 查找文件(表)的數據維度
  3. 複製表
  4. 粘貼到目的地(以前見下表)
  5. 循環
  6. 重複步驟1-4

該代碼是從: Excel VBA: automating copying ranges from different workbooks into one final destination sheet?


Sub SourcetoDest() 

    Dim wbDest As Workbook 
    Dim wbSource As Workbook 
    Dim sDestPath As String 
    Dim sSourcePath As String 
    Dim shDest As Worksheet 
    Dim rDest As Range 
    Dim vaFiles As Variant 
    Dim i As Long 

    'array of folder names under sDestPath 

    'array of file names under vaFiles 
    vaFiles = Array("Book1.xls") 

    sDestPath = "C:\Users" 
    sSourcePath = "C:\Users" 

    Set wbDest = Workbooks.Open(sDestPath & "\" & "Book2.xlsm") 
    Set shDest = wbDest.Sheets(1) 

    'loop through the files 
    For i = LBound(vaFiles) To UBound(vaFiles) 
     'open the source 
     Set wbSource = Workbooks.Open(sSourcePath & "\" & vaFiles(i)) 

     'find the next cell in col C 
     Set rDest = shDest.Cells(shDest.Rows.Count, 3).End(xlUp).Offset(1, 0) 
     'write the values from source into destination 
     rDest.Resize(5, 1).Value = wbSource.Sheets(1).Range("C7:D33").Value 

     wbSource.Close False 
    Next i 

End Sub 

你的代碼似乎很好,你有沒有嘗試在breakmode中通過它?你只需要這個部分來調整你的初始數據範圍,但是你不能在那裏處理任何東西(因爲你已經知道'End()'函數)。但是我不明白爲什麼在目標表中沒有任何數據... – R3uK


如果您嘗試'wDSource.Sheets(1).Range(「C7:D33」)。請在rDest之前選擇。 Resize(5,1).Value = wbSource.Sheets(1).Range(「C7:D33」)。Value 'line,它會突出顯示源數據。使用F8瀏覽你的代碼並檢查你的源代碼範圍是否正確。接下來嘗試'rDest.Resize(5,1).Select'來檢查目標範圍。一旦這些是正確的,你可以在完成調試後刪除這兩行。 – tonester640


謝謝,有趣的事情是當用F8滾動代碼時,它得到行設置wbDest = Workbooks.Open(sDestPath&「\」&「Book2.xlsm」)excel文件Book2打開,但隨後代碼停止? –




Option Explicit 
Sub copy_rng() 
    Dim wb As Workbook, wbDest As Workbook, ws As Worksheet, wsDest As Worksheet, wsSrc As Worksheet 
    Dim wbNames() As Variant 
    Dim destFirstCell As Range 
    Dim destColStart As Integer, destRowStart As Long, i As Byte 
    Dim destPath As String 

    Set wb = ThisWorkbook 
    Set ws = wb.Sheets("Sheet1") ' Amend to your sheet name 
    Set wsSrc = wb.Sheets("Sheet2") ' Amend to sheet name with table data 
    wbNames = ws.Range("A2:A" & lrow(1, ws)) ' Pass col number into lrow function 
    destPath = "C:\Users\" 

    Application.ScreenUpdating = False 
    For i = 1 To UBound(wbNames, 1) 
     Set wbDest = Workbooks.Open(destPath & wbNames(i, 1)) 
     Set wsDest = wbDest.Worksheets(1) 
     With wsDest 
      Set destFirstCell = .Cells.Find(What:="*") 
      destColStart = destFirstCell.Column 
      destRowStart = destFirstCell.Row 
      .Range(Cells(destRowStart, destColStart), _ 
       Cells(lrow(destColStart, wsDest), icol(destRowStart, wsDest))).Copy 
     End With 
     wsSrc.Cells(lrow(1, wsSrc) + 1, 1).PasteSpecial Paste:=xlPasteAll 
     wbDest.Close False 
    Next i 
    Application.ScreenUpdating = True 

End Sub 

Function lrow(ByVal col_num As Integer, sheet_name As Worksheet) As Long 
    lrow = sheet_name.Cells(Rows.Count, col_num).End(xlUp).Row 
End Function 

Function icol(ByVal row_num As Long, sheet_name As Worksheet) As Integer 
    icol = sheet_name.Cells(row_num, Columns.Count).End(xlToLeft).Column 
End Function 



## What comes next are calculated crystals, not part of the entry
Material: MgMn6O11F
Method: DFT, GGA+U
State: optimized geometry

Unit cell a=6.9666 b=5.6830 c=5.8198 alpha=83.14 beta=71.52 gamma=74.22
Fractional coordinates of all 19 atoms:
1 O 0.6796 0.0179 0.6747
2 O 0.6438 0.6658 0.9807
3 O 0.7039 0.0696 0.1395
4 O 0.0237 0.6762 0.3391
5 O 0.6288 0.6099 0.5158
6 O 0.2839 0.9648 0.8662
7 O 0.9706 0.2548 0.1967
8 O 0.3545 0.4092 0.4979
9 O 0.9658 0.3322 0.6518
10 O 0.3139 0.9997 0.3273
11 O 0.0437 0.7179 0.8044
12 Mn 0.3299 0.7421 0.6043
13 Mn 0.0005 0.9323 0.0636
14 Mn 0.8200 0.6811 0.6584
15 Mn 0.1570 0.3358 0.3503
16 Mn 0.6646 0.3008 0.3808
17 Mn 0.5126 0.9871 0.0054
18 Mg 0.1521 0.3420 0.8436
19 F 0.3530 0.3607 0.0118

* E above lowest polymorph: 0.003 eV/atom
* formation energy from the elements: -2009 meV/atom
* SG: P1

Material: MgMn4O4F6
Method: DFT, GGA+U
State: optimized geometry

Unit cell a=5.1734 b=6.0555 c=7.9314 alpha=103.49 beta=72.47 gamma=63.81
Fractional coordinates of all 15 atoms:
1 Mn 0.2059 0.5128 0.6108
2 Mn 0.7928 0.4943 0.3939
3 Mn 0.6424 0.0656 0.1251
4 Mn 0.3570 0.9413 0.8793
5 Mg 0.0002 0.5033 0.0023
6 F 0.1072 0.7968 0.0537
7 F 0.6227 0.7499 0.2458
8 F 0.9464 0.7132 0.4705
9 F 0.8923 0.2102 0.9509
10 F 0.3769 0.2568 0.7585
11 F 0.0524 0.2938 0.5342
12 O 0.4035 0.7130 0.6469
13 O 0.7761 0.7618 0.8774
14 O 0.2236 0.2449 0.1271
15 O 0.5952 0.2943 0.3575

* E above lowest polymorph: 0.047 eV/atom
* formation energy from the elements: -2543 meV/atom
* SG: P-1

Material: MgMn4O4F4
Method: DFT, GGA+U
State: optimized geometry

Unit cell a=5.2870 b=5.9380 c=5.7521 alpha=84.60 beta=84.01 gamma=72.87
Fractional coordinates of all 13 atoms:
1 F 0.8112 0.0557 0.7415
2 F 0.7753 0.8824 0.2344
3 F 0.2159 0.7163 0.8764
4 F 0.3059 0.4275 0.4859
5 Mn 0.5011 0.3870 0.8080
6 Mn 0.9673 0.7416 0.5825
7 Mn 0.0039 0.0816 0.0925
8 Mn 0.5410 0.6484 0.2795
9 O 0.2053 0.9412 0.3667
10 O 0.6932 0.3718 0.0728
11 O 0.2412 0.2053 0.8939
12 O 0.7584 0.5015 0.5806
13 Mg 0.0914 0.2064 0.5852

* E above lowest polymorph: 0.079 eV/atom
* formation energy from the elements: -2448 meV/atom
* SG: P1

Material: MgMn6O11F
Method: DFT, GGA+U
State: optimized geometry

Unit cell a=11.8520 b=6.3894 c=2.9582 alpha=89.83 beta=88.83 gamma=108.13
Fractional coordinates of all 19 atoms:
1 Mn 0.0592 0.0046 0.0113
2 Mn 0.6241 0.3416 0.9775
3 Mn 0.3323 0.6651 0.9976
4 Mn 0.3388 0.1684 0.5081
5 Mn 0.6158 0.8463 0.4767
6 Mn 0.0445 0.4888 0.4796
7 Mg 0.8294 0.6590 0.9548
8 O 0.1648 0.0487 0.5176
9 O 0.3488 0.9809 0.0037
10 O 0.5172 0.2959 0.4867
11 O 0.0267 0.2841 0.9825
12 O 0.2217 0.6102 0.5027
13 O 0.7473 0.4290 0.4672
14 O 0.0050 0.6641 0.9773
15 O 0.6357 0.0493 0.9748
16 O 0.4421 0.7206 0.4888
17 O 0.6555 0.6760 0.9735
18 O 0.3288 0.3562 0.0047
19 F 0.8936 0.8882 0.4439

* E above lowest polymorph: 0.000 eV/atom
* formation energy from the elements: -2013 meV/atom
* SG: P1

Material: MgMn5O7F
Method: DFT, GGA+U
State: optimized geometry

Unit cell a=6.0378 b=6.2904 c=6.0431 alpha=61.69 beta=116.84 gamma=118.25



感謝回覆Iturner,我試圖複製並粘貼到最終文件中的數據維度的一件事是坐在單獨的excel文件中,是否可以修改WsSrc以使其轉到單獨的文件並從中提取數據? –


上面創建一個包含工作簿名稱的數組(假定工作簿名稱存儲在A列中)。你在哪裏得到你想打開的工作簿名稱? –


我看到了,感謝Iturner,之前我手動將工作手冊名稱放在VBA代碼中(數組格式),所以現在如果我將它們放在MyWorkBook中指示的工作表的A列中,它將自動通過這些工作簿。當我在我的電腦時,我會稍微嘗試一下:)再次感謝! –
